Ornamental Carved Stone Balls
Objects of admiration through the ages, petrospheres, or carved stone balls as they are more commonly known, have the power to delight, fascinate and cause heated arguments in equal measure! Recently, Caithness Broch Project commissioned Orcadian archaeologist and experimental prehistoric tool-maker Chris Gee to create a copy of two ornamental stone balls found in Caithness, to be used in outreach events with local communities and schools.
One such petrosphere was found in Thurso River. The ball, now found in Caithness Horizons, was originally preserved by one of Thurso's best known sons, Robert Dick, and Chris was kind enough to talk about his process in manufacturing a copy of such a special artefact...
"This carved stone ball is a copy of the carved stone ball in Caithness Horizons that was found in the Thurso River. It is around the same size, shape and weight. The original seems to have been made from a volcanic rock possibly deriving from an intrusive igneous dyke, and that is what the copy is made from. The original was made in the late Neolithic, probably around 3000cal BC. It has six bosses arranged opposite each other as the faces upon a cube. Just over 425 carved stone balls are recorded, mainly all from Scotland, with a concentration in Aberdeenshire. Just less than half of the balls have six bosses arranged in this way (Marshall 1979).

Robert Dick (1811 - 1866), Thurso-based Geologist and Botanist
Although there is considerable variation in the number and form of bosses or discs they mostly all convey a sense of roundness (Barthelmess 2014, 3; Pattison 2012). It seems their starting point was usually the modification of a rock into a sphere. Some are more spherical than others though.
To create my primary sphere I begin by making a cube. It is fairly easy to make a cube by eye as it is possible to just use a stick or finger to check all sides are the right length. The next step is to mark the centre point of each face as a guide and reference point throughout the process. Again, this is easily done by eye but a bit of string folded works. I then peck the edges off the cube to form a polyhedron with all opposite faces the same distance apart and as parallel as possible.
The next stage is to peck down the remaining angles using three imaginary hoops at 90 degrees to each other. At this stage the ball looks like a paper bag that has been blown up. The corners now need to be chipped off while respecting the six original reference points and the three imaginary hoops. Most of the stages of shaping have so far involved chipping and pecking the stone to shape.
I use bits of broken quartz porphyry for pecking the stone to shape as it has a good weight, is very hard and always breaks to sharp corners. It is found outcropping at one location in Orkney and is also found as a hammer stone on Neolithic sites in Orkney. Throughout the process the ball is hit with the hammer stones thousands of times. Always for a few minutes at the start the hammer feels clumsy but soon it becomes part of the hand and now I know exactly where it will contact.
Chris 'pecking' the stone
Now that the sphere is made, mainly through pecking, this stage needs to be completed by smoothing out the rough pecked surface. The smoothed surface of the sphere will ultimately be the upper surfaces of the bosses when the ball is finished and is key to conveying the impression of overall roundness. Therefore, once the bosses are marked out on the surface their outer faces should undergo little if no more modification. The ball is smoothed by rubbing it with sandstone and water. Sandstone in Orkney (and Caithness), like sandpaper, comes in different grades and can be used accordingly.
The smoothing process

Crystal structures that have nothing to do with the entry:
<<<
No. 1
VASP calculation (PBE) on crystalline SnMo12PbS16 at its relaxed geometry.

Lattice parameters (Å, degrees): 6.5640 6.5697 13.2125 89.28 89.17 89.24
With the nearest neighbours (Å) after each atom.
Fractional positions:
S  0.7586  0.7570  0.3791  3 Mo 2.39-2.41
S  0.7403  0.3817  0.5632  4 Mo 2.44-2.55
S  0.2432  0.2446  0.1222  3 Mo 2.38-2.40
S  0.2597  0.6183  0.4368  4 Mo 2.44-2.55
S  0.1271  0.7411  0.1916  4 Mo 2.44-2.56
S  0.6166  0.8726  0.1295  4 Mo 2.44-2.58
S  0.2414  0.2430  0.6209  3 Mo 2.39-2.41
S  0.6188  0.8722  0.6286  4 Mo 2.44-2.58
S  0.8735  0.2577  0.3098  4 Mo 2.44-2.57
S  0.7568  0.7554  0.8778  3 Mo 2.38-2.40
S  0.1265  0.7423  0.6902  4 Mo 2.44-2.57
S  0.3834  0.1274  0.8705  4 Mo 2.44-2.58
S  0.3812  0.1278  0.3714  4 Mo 2.44-2.58
S  0.7396  0.3842  0.0636  4 Mo 2.44-2.56
S  0.8729  0.2589  0.8084  4 Mo 2.44-2.56
S  0.2604  0.6158  0.9364  4 Mo 2.44-2.56
Mo  0.5863  0.4376  0.8880  5 S 2.38-2.56
Mo  0.4136  0.5618  0.6115  5 S 2.39-2.55
Mo  0.4383  0.7732  0.2925  5 S 2.41-2.58, 1 Mo 2.68
Mo  0.4137  0.5624  0.1120  5 S 2.38-2.56
Mo  0.5864  0.4382  0.3885  5 S 2.39-2.55
Mo  0.7733  0.5848  0.7186  5 S 2.40-2.57
Mo  0.7740  0.5857  0.2195  5 S 2.40-2.56, 1 Mo 2.68
Mo  0.2267  0.4152  0.2814  5 S 2.40-2.57
Mo  0.5617  0.2268  0.7075  5 S 2.41-2.58, 1 Mo 2.68
Mo  0.2260  0.4143  0.7805  5 S 2.40-2.56, 1 Mo 2.68
Mo  0.5629  0.2274  0.2082  5 S 2.40-2.58, 1 Mo 2.69
Mo  0.4371  0.7726  0.7918  5 S 2.40-2.58, 1 Mo 2.69
Pb  0.0000  0.0000  0.0000  8 S 2.82-3.15
Sn  0.0000  0.0000  0.5000  8 S 2.80-3.13

Computed properties:
Crystal system ... triclinic
Calculated volume ... 569.6 Å³/cell
E_form ... -0.92 eV/atom

***

No. 2
VASP calculation (PBE) on crystalline Mo15Pb2Se19 at its relaxed geometry.

Lattice parameters (Å, degrees): 20.0320 20.0320 20.0320 28.44 28.44 28.44
With the nearest neighbours (Å) after each atom.
Fractional positions:
Mo  0.6267  0.5002  0.3138  5 Se 2.57-2.66, 4 Mo 2.68-2.76
Mo  0.8733  0.1862  0.9998  5 Se 2.57-2.66, 4 Mo 2.68-2.76
Mo  0.1404  0.4504  0.2773  5 Se 2.56-2.73, 4 Mo 2.65-2.80
Mo  0.9998  0.8733  0.1862  5 Se 2.57-2.66, 4 Mo 2.68-2.76
Mo  0.2500  0.4088  0.0912  4 Se 2.57-2.62, 6 Mo 2.69-2.80
Mo  0.3138  0.6267  0.5002  5 Se 2.57-2.66, 4 Mo 2.68-2.76
Mo  0.8138  0.0002  0.1267  5 Se 2.57-2.66, 4 Mo 2.68-2.76
Mo  0.5496  0.7227  0.8596  5 Se 2.56-2.73, 4 Mo 2.65-2.80
Mo  0.7227  0.8596  0.5496  5 Se 2.56-2.73, 4 Mo 2.65-2.80
Mo  0.9504  0.6404  0.7773  5 Se 2.56-2.73, 4 Mo 2.65-2.80
Mo  0.3733  0.4998  0.6862  5 Se 2.57-2.66, 4 Mo 2.68-2.76
Mo  0.4998  0.6862  0.3733  5 Se 2.57-2.66, 4 Mo 2.68-2.76
Mo  0.7500  0.5912  0.9088  4 Se 2.57-2.62, 6 Mo 2.69-2.80
Mo  0.7773  0.9504  0.6404  5 Se 2.56-2.73, 4 Mo 2.65-2.80
Mo  0.0912  0.2500  0.4088  4 Se 2.57-2.62, 6 Mo 2.69-2.80
Mo  0.5912  0.9088  0.7500  4 Se 2.57-2.62, 6 Mo 2.69-2.80
Mo  0.0496  0.3596  0.2227  5 Se 2.56-2.73, 4 Mo 2.65-2.80
Mo  0.5002  0.3138  0.6267  5 Se 2.57-2.66, 4 Mo 2.68-2.76
>>>
The entry goes on:

The Smoothed-out Ball
Now that the ball is spherical and smooth I mark out the position of the discs. Now comes the hard part mentally: breaking the surface of the lovely smooth ball by pecking and chipping the stone away between the bosses. This is also in some ways the most satisfying stage.

# Here the piece breaks off for materials data
<<<
A:
A plane-wave DFT calculation with PBE was carried out for a relaxed structure of KLi2H3O3.

Summary:
Its crystal system is monoclinic. The space group is No. 11.

Cell: 5.1646 5.7819 6.3224 Å, 103.14 90.00 90.00°
Fractional positions:
1 K 0.7500 0.8437 0.7444
2 K 0.2500 0.1563 0.2556
3 Li 0.4952 0.3465 0.8227
4 Li 0.9952 0.6535 0.1773
5 Li 0.5048 0.6535 0.1773
6 Li 0.0048 0.3465 0.8227
7 H 0.7500 0.2299 0.1136
8 H 0.2500 0.7701 0.8864
9 H 0.7500 0.0190 0.3376
10 H 0.2500 0.9810 0.6624
11 H 0.7500 0.3793 0.4656
12 H 0.2500 0.6207 0.5344
13 O 0.7500 0.3848 0.0739
14 O 0.2500 0.6152 0.9261
15 O 0.7500 0.9167 0.1912
16 O 0.2500 0.0833 0.8088
17 O 0.7500 0.3189 0.5964
18 O 0.2500 0.6811 0.4036

=====

B:
A plane-wave DFT calculation with PBE was carried out for a relaxed structure of KLi2H3O3.

Summary:
Its crystal system is monoclinic. The space group is No. 11.

Cell: 5.7029 6.1452 7.4395 Å, 75.12 90.00 90.00°
Fractional positions:
1 K 0.2500 0.7346 0.4813
2 K 0.7500 0.2654 0.5187
3 Li 0.5440 0.6621 0.8547
4 Li 0.9560 0.6621 0.8547
5 Li 0.4560 0.3379 0.1453
6 Li 0.0440 0.3379 0.1453
7 H 0.2500 0.2572 0.8393
8 H 0.7500 0.7428 0.1607
9 H 0.2500 0.1547 0.8021
10 H 0.7500 0.8453 0.1979
11 H 0.7500 0.3876 0.9181
12 H 0.2500 0.6124 0.0819
13 O 0.7500 0.8490 0.6902
14 O 0.2500 0.1510 0.3098
15 O 0.7500 0.6147 0.6542
16 O 0.7500 0.4218 0.0401
17 O 0.2500 0.3853 0.3458
18 O 0.2500 0.5782 0.9599

=====

C:
A plane-wave DFT calculation with PBE was carried out for a relaxed structure of KLi2H3O3.

Summary:
Its crystal system is monoclinic. The space group is No. 11.

Cell: 5.5285 5.6777 7.3670 Å, 83.63 90.00 90.00°
Fractional positions:
1 K 0.2500 0.7671 0.4870
2 K 0.7500 0.2329 0.5130
3 Li 0.5494 0.6090 0.8476
4 Li 0.9506 0.6090 0.8476
5 Li 0.4506 0.3910 0.1524
6 Li 0.0494 0.3910 0.1524
7 H 0.2500 0.2136 0.8281
8 H 0.7500 0.7864 0.1719
9 H 0.2500 0.0900 0.8010
10 H 0.7500 0.9100 0.1990
11 H 0.7500 0.2302 0.9844
12 H 0.2500 0.7698 0.0156
13 O 0.7500 0.8547 0.7440
14 O 0.2500 0.1453 0.2560
15 O 0.7500 0.6461 0.6278
16 O 0.7500 0.3886 0.0234
17 O 0.2500 0.3539 0.3722
18 O 0.2500 0.6114 0.9766

=====

Order of stability, best first: A, C, B

=====

A:
A plane-wave DFT calculation with PBE was carried out for a relaxed structure of K4LiH3S4O16.

Summary:
Its crystal system is tetragonal. The space group is No. 76.

Cell: 7.5084 7.5084 29.0677 Å, 90.00 90.00 90.00°
Fractional positions:
1 K 0.0141 0.4904 0.7740
2 K 0.9859 0.5096 0.2740
3 K 0.4904 0.9859 0.5240
4 K 0.5096 0.0141 0.0240
5 K 0.4001 0.3743 0.6478
6 K 0.5999 0.6257 0.1478
7 K 0.3743 0.5999 0.3978
8 K 0.6257 0.4001 0.8978
9 K 0.9202 0.9031 0.8841
10 K 0.0798 0.0969 0.3841
11 K 0.9031 0.0798 0.6341
12 K 0.0969 0.9202 0.1341
13 K 0.5066 0.7871 0.7836
14 K 0.4934 0.2129 0.2836
15 K 0.7871 0.4934 0.5336
16 K 0.2129 0.5066 0.0336
17 Li 0.2643 0.1485 0.8346
18 Li 0.7357 0.8515 0.3346
19 Li 0.1485 0.7357 0.5846
20 Li 0.8515 0.2643 0.0846
21 H 0.7046 0.6942 0.6912
22 H 0.2954 0.3058 0.1912
>>>

The tricky part...
Again, once the bosses look even and similar I finish them off by grinding away most of the pecking using shaped sandstone which I also have to keep grinding on another block of rougher sandstone. For this ball I round off the upper shoulder of the bosses to match its Neolithic sister.

Materials data, kept here for reference =
********
[1]
VASP calculation (PBE) on Sr2GdNbO6 after structural relaxation.

As for the crystal system: cubic. The formation energy from the elements comes out at -3.415 eV per atom. For the size of the total moment, the calculation gives 7.000 μB/f.u.

The structure belongs to space group Pn-3 (No. 201, origin choice 2); the cell edges are 8.427, 8.427 and 8.427 Å and the angles 90.00°, 90.00° and 90.00°. The asymmetric unit holds Sr at (0.250, 0.250, 0.250), Sr at (0.250, 0.250, 0.750), Gd at (0.000, 0.000, 0.000), Nb at (0.000, 0.000, 0.500) and O at (0.034, 0.541, 0.766).

***

[2]
VASP calculation (PBE) on SrSiO3 after structural relaxation.

As for the crystal system: monoclinic. The formation energy from the elements comes out at -2.539 eV per atom. For the size of the total moment, the calculation gives 0.000 μB/f.u.

The structure belongs to space group Pc (No. 7); the cell edges are 4.426, 10.902 and 7.637 Å and the angles 90.00°, 91.07° and 90.00°. The asymmetric unit holds Sr at (0.000, 0.034, 0.000), Sr at (0.930, 0.388, 0.745), Si at (0.038, 0.282, 0.233), Si at (0.456, 0.154, 0.705), O at (0.089, 0.146, 0.303), O at (0.246, 0.401, 0.320), O at (0.424, 0.300, 0.691), O at (0.819, 0.115, 0.712), O at (0.886, 0.392, 0.369) and O at (0.944, 0.291, 0.033).

***

[3]
VASP calculation (PBE) on Y2Si2O7 after structural relaxation.

As for the crystal system: monoclinic. The formation energy from the elements comes out at -3.656 eV per atom. For the size of the total moment, the calculation gives 0.001 μB/f.u.

The structure belongs to space group P2_1/m (No. 11); the cell edges are 5.096, 8.155 and 7.420 Å and the angles 90.00°, 108.78° and 90.00°. The asymmetric unit holds Y at (0.231, 0.008, 0.252), Si at (0.154, 0.250, 0.573), Si at (0.286, 0.750, 0.867), O at (0.009, 0.750, 0.665), O at (0.069, 0.750, 0.312), O at (0.216, 0.585, 0.966), O at (0.332, 0.081, 0.593) and O at (0.429, 0.250, 0.186).

***

[4]
VASP calculation (PBE) on NaDy3 after structural relaxation.

As for the crystal system: hexagonal. The formation energy from the elements comes out at 0.306 eV per atom. As for the relative energy among the computed polymorphs: 0 meV per atom. For the size of the total moment, the calculation gives 1.451 μB/f.u.

The structure belongs to space group P6_3/mmc (No. 194); the cell edges are 7.1874, 7.1874 and 5.7761 Å and the angles 90.00°, 90.00° and 120.00°. The asymmetric unit holds Na at (0.3333, 0.6667, 0.2500) and Dy at (0.1644, 0.3288, 0.7500).

* * * * *

# 1
16
Lattice="6.571 0.000 0.000 0.000 5.688 0.000 0.000 0.000 5.368" Properties=species:S:1:pos:R:3 comment="Zn3MoN4 (PBE, relaxed)" volume_a3_per_cell=200.62 formation_enthalpy_0k_ev_per_atom=-0.363 e_ij_max_c_m2=2.3 pbc="T T T"
Zn 0.000 0.944 0.000
Zn 1.633 1.889 2.691
Zn 1.653 3.799 0.007
Zn 3.286 4.744 2.684
Zn 4.919 3.799 0.007
Zn 4.938 1.889 2.691
Mo 0.000 4.719 2.682
Mo 3.286 0.969 5.365
N 0.000 0.809 2.058
N 0.000 4.713 4.553
N 1.555 3.831 2.061
N 1.731 1.857 4.744
********

The final stages...
It is possible to see and feel the remains of some of the pecking on the completed carved stone ball, particularly within the hollow between the bosses. Evidence of the subsequent shaping and grinding with sandstones can then been seen and felt as small scratches and striations, and small facets and angles where certain parts were ground down. Many Neolithic carved stone balls also show evidence of these same techniques and similar processes in their creation.

Voila! Above is Chris' creation, while below is the original. What do you think?

Barthelmess, B. 2014, A Neolithic Carved Stone Ball from the Ness of Brodgar, Orkney – Explored by and ‘Amature Archaeologist’, Unpublished paper
Marshall, D.N. 1979, “Carved Stone Balls”, in Proceedings of the Society of Antiquaries of Scotland, Vol 108, 1976-77, 40-72
Pattison, J. 2012, Models of Mind: Carved Stone Balls from the Islands of Scotland, Taigh Chearsabhagh Museum and Arts Centre